(Sunday sermons, talks, and teaching)
2 Corinthians 4:13-5:1
As we have the same spirit of faith that is mentioned in scripture – I believed, and therefore I spoke – we too believe and therefore we too speak. (2 Corinthians 4:13) The passage of 2Corinthians we read this morning opens with an explanation of why St Paul is compelled to speak about faith and about the Lord Jesus in the way he does; faith is so embedded in him and it is such a powerful force that he cannot but write, speak, preach, and labour in every possible way to explain it to others and to bring Jesus to everyone he meets. Paul quotes psalm 116 in its Greek text as his justification – I believed, and therefore I spoke – but he quickly starts to use the plural form to include on just himself, but also every Christian in Corinth, and in turn, to include every Christian soul throughout the ages. We believe, and therefore we speak should be our own justification too for talking about faith and the Lord Jesus to others. It’s easy for someone in a dog-collar to say that we should talk about faith, especially when people expect you to do so, or half-imagine you to be a God-botherer. Sayings such as “Religion should be kept private” and “One shouldn’t talk about politics or religion at the dinner table” are deeply engrained in our society and in the way we do things. So, I know who awkward that might seem for many people in the pews. But the truth of the matter doesn’t change, We believe, and therefore we should speak. And Paul gives a simple and practical pattern for the way everyone should learn to talk about faith. For example, when he speaks about hardships of the body, he is not doing so from a lofty height. He is talking from personal experience. Physically, Paul was not a very healthy person to start with, and even putting aside the persecutions he endured for the faith, the constant travelling, his daily work, and his ministry for the Church, must have frayed his body and tested his endurance to the limit. Yet, he says, that out of personal sufferings comes the knowledge that the Father, who raised Jesus from the dead, is at work within us. And it is out of this vulnerability and frailty we can speak all the more clearly and convincingly about faith. Later on, when Paul compares the human body to a tent fit for our earthly dwelling, he does so from the point of view of a serious traveller and – most of all – as a tent-maker… we know that when the tent in which we live on earth is folded up, there is a house built by God for us… in the heavens (2 Corinthians 5:1). The Apostle is able to draw links between what he does for a living (which in itself isn’t particularly Christian or newsworthy) and his faith; his daily life informs the way he believes and the way he can articulate his faith to others. Then we too could learn from Paul. How does our experience of testing or difficult times can shape the way we talk about faith? how can it encourage others in their trials? and how can our work or various activities ground the faith in our daily lives? But I should say more about today’s readings. Some years ago a priest friend of mine wandered into his central London church only to find that the vestry had been broken into and a few items had been stolen from it. After the usual phone calls to the police and churchwardens he robed and went to the altar to celebrate a midweek Mass only to find, to his complete surprise, that the gospel reading appointed for that day was, ‘Do not store up for yourselves treasures on earth, where moths …destroy, and where thieves break in and steal. But store up for yourselves treasures in heaven …where thieves do not break in and steal.’ (Matthew 6:19-20) As Alanis Morissette would say, ‘Isn’t it ironic?’ Even from personal experience I can testify that such coincidences or clashes between what goes on around us and the lectionary are very common indeed. We could say that they are just mere coincidences, or be grateful to God for pointing us towards his Word at the times when perhaps we most need guidance and consolation. I believe that this is also what is happening today with our readings. Not even a fortnight since Jill’s funeral, the past week has brought fresh sorrows to our church family as Father Colin passed away, but as we come to church to celebrate Mass and to begin a new week together our readings remind us of our faith in the final victory of God over death. In the eyes of the world Jesus looked crushed, broken, and condemned to an undignified death, but through the testimony of the Scriptures and through the eyes of faith we know that his rising from the dead is what gives us hope for the future. Human experience has been radically altered by this. We are given a new, final end for our earthly journeying; that is, as our second reading says, to be “raised and put at the side of the Lord Jesus with the saints” (Cf. 2Cor 4:14). Like St Paul, we may feel the strain of sorrow and the weight of sufferings that we (or our loved ones) have to endure, but we ought to place our faith in and be comforted by the One who ultimately will see that things are made right. So …we know that when the tent in which we live on earth is folded up, there is a house built by God for us… in the heavens (2 Corinthians 5:1).
Inserted here: data records =
┌──
Compound: Na3ReN
Source: the Alexandria database
Functional: PBE-GGA
Structure: relaxed

Cell lengths 4.7730, 4.7730, 4.7730 Å; angles 90.00, 90.00, 90.00 degrees
Positions (direct):
Na 0.0000 0.0000 0.5000
Na 0.0000 0.5000 0.0000
Na 0.5000 0.0000 0.0000
Re 0.5000 0.5000 0.5000
N 0.0000 0.0000 0.0000

Offset from the most stable computed form ... 0.000 eV/atom
Raw formation energy ... 1.430 eV/atom
DOS(E_F) ... 3.21 states/eV/cell
M_tot ... 5.00 μB per cell
Space-group type ... Pm-3m (221)


# 1
Computed, not measured: a relaxed AcTb2Ta crystal at the PBE-GGA level of DFT.

Structure (POSCAR):
```
AcTb2Ta
1.0
-2.8217 -1.7911 -0.6648
-0.4085 -3.1004 1.3538
-6.4634 3.2827 9.8561
Ac Tb Ta
1 2 1
direct
0.5000 0.5000 0.5000
0.0800 0.0800 0.7600
0.9200 0.9200 0.2400
0.0000 0.0000 0.0000
```

Properties
Energy in eV/atom: -5.53
Space group: R-3m, No. 166
E_form in meV/atom: 771

***

# 2
Computed, not measured: a relaxed K4Bi crystal at the PBE-GGA level of DFT.

Structure (POSCAR):
```
K4Bi
1.0
-4.5490 1.0409 8.9271
-10.0525 0.3884 0.5155
-5.1415 -7.7034 3.9615
K Bi
8 2
direct
0.8844 0.8844 0.8844
0.3468 0.8844 0.8844
0.8844 0.8844 0.3468
0.9032 0.3656 0.3656
0.3656 0.3656 0.3656
0.8844 0.3468 0.8844
0.3656 0.3656 0.9032
0.3656 0.9032 0.3656
0.5000 0.5000 0.5000
0.7500 0.7500 0.7500
```

Properties
Energy in eV/atom: -1.62
Space group: Fd-3m, No. 227
Polymorph energy (0 for the lowest one) in meV/atom: 254
E_form in meV/atom: 32

***

# 3
Computed, not measured: a relaxed CdPtPb2O6 crystal at the PBE-GGA level of DFT.

Structure (POSCAR):
```
CdPtPb2O6
1.0
-2.8687 -4.8449 0.6080
0.3311 -0.9434 -5.9558
7.0143 -4.1812 1.0523
Cd Pt Pb O
2 2 4 12
direct
0.5000 0.0000 0.0000
0.0000 0.5000 0.5000
0.5000 0.0000 0.5000
0.0000 0.5000 0.0000
0.0113 0.9550 0.2673
0.5113 0.5450 0.7673
0.9887 0.0450 0.7327
0.4887 0.4550 0.2327
0.3023 0.6694 0.0313
0.8023 0.8306 0.5313
0.6977 0.3306 0.9687
0.1977 0.1694 0.4687
0.3194 0.7345 0.4154
0.8194 0.7655 0.9154
0.6806 0.2655 0.5846
0.1806 0.2345 0.0846
0.8858 0.5765 0.2265
0.3858 0.9235 0.7265
0.1142 0.4235 0.7735
0.6142 0.0765 0.2735
```

Properties
Energy in eV/atom: -5.26
Space group: P2_1/c, No. 14
Raw formation energy in eV/atom: -0.844

***

- Among the records above, which one has the lowest energy?
  AcTb2Ta


Here is Mg2VPbF8 after structural relaxation from the Alexandria database. Energies are from GGA+U.

```
Mg2VPbF8
1.0
-2.9825 3.6666 -1.8073
-4.0015 -3.0587 0.2269
-1.2105 2.0442 6.1520
F Pb Mg V
8 1 2 1
direct
0.7812 0.2233 0.7823
0.6626 0.6698 0.5001
0.7817 0.2238 0.2177
0.2188 0.7767 0.2177
0.6916 0.6956 0.0000
0.3374 0.3302 0.4999
0.2183 0.7762 0.7823
0.3084 0.3044 0.0000
0.0000 0.0000 0.5000
0.5000 0.5000 0.2378
0.5000 0.5000 0.7622
0.0000 0.0000 0.0000
```

Final energy (eV/atom): -5.4179
Total moment (μB per cell): 3.00


Entry one
Below is an optimized crystal structure of TlSiOs2, with properties calculated at the PBEsol level.

Summary:
- Size of the total moment: 0.0 μB per formula unit
└──
Back to the piece =
Isaiah 25:6-9 On this mountain God will destroy the shroud that is cast over all peoples, the sheet that is spread over all nations; he will swallow up death for ever. (Is 25:7-8) There are a number of things people say to us when we are grieving the loss of a loved one as they try to console our aching hearts, and shield us from the reality of death. They many share their memories of the deceased with us, and tell us that they wouldn’t want us to cry. They may try to comfort us with well-meant thoughts of a spiritual nature saying things like, “He’ll be watching over you”, or “She’s one of God’s angels now”. Even lines from popular funeral poems may be used such as, “He only takes the best”, or “death is nothing at all”. But the thing is, after a while, everything starts sounding like empty platitudes. When the passing of time makes us angry because our memories begin to fade, when the silence of an empty home can seem to drown out every poem or song… In these moments the sadness and harshness of death can leave us even more confused than before. Then, where do we turn? The Bible does not try to shield us for the sorrow of death. In the Scriptures death is often seen as heart-breaking, but to this sadness is the Bible contrasts the hope, and yes, even the joy, that we can find in God – because it is only through God’s mercy, that this harsh reality of human existence does not have the final word over our lives and over the lives of those who have gone before us. In our first reading the prophet Isaiah calls death for what it really is. We read that death is like a ‘shroud that is cast over all peoples’; it is a sheet – a funeral cloth – under which everyone is lives; and finally, it is a ‘disgrace’. But, the prophet also says, God will destroy death forever, and he will restore life to his creation. And when we come to end of all things, there is a banquet, a feast, waiting for God’s people where the Lord himself will wipe away every tear form our eyes, as a parent would do consoling his children. On this mountain the Lord of hosts will make for all peoples a feast of rich food, a feast of well-matured wines. (Is 25:6) I was recently at a funeral of a friend of mine at St Albans Abbey and the Dean used a beautiful phrase; he said, ‘When we are at the Altar we are not defined my death’. Tonight, as we come to this holy place to remember and to pray for our loved ones, we come to the mountain described by Isaiah, to the place where God prepares a feast for his people. The Mass we offer for those who have died and the holy food we receive break the barrier, as it were, between this world and the next. At the altar, we meet in spirit with those who have gone before us, and we are given a pledge of what is to come – of the joy and celebration of being reunited with our loved ones in the presence of God for ever. So, the message of tonight’s service, much like the slogan for Sky, is “Believe in better”. Don’t let those well-meant poems and those platitudes that are often used at funerals delude you. Put your faith in the words of the Scriptures, in the words of Jesus, and in the Mass we celebrate tonight. On this mountain God …will swallow up death for ever. (Is 25:7-8) |
June 2020